• Brief:
Please set down only the last part of the data further down, starting with the line that has "-47.2".
• Listing:
********
(1)
{
  "formula": "GaCo4Ge3",
  "functional": "GGA-PBE",
  "state": "relaxed",
  "lattice_angstrom": [[3.260, 1.882, 2.710], [-3.260, 1.882, 2.710], [0.000, -3.765, 2.710]],
  "species": ["Ga", "Co", "Co", "Co", "Co", "Ge", "Ge", "Ge"],
  "fractional_positions": [[0.000, 0.000, 0.000], [0.023, 0.520, 0.791], [0.300, 0.300, 0.300], [0.520, 0.791, 0.023], [0.791, 0.023, 0.520], [0.315, 0.823, 0.499], [0.499, 0.315, 0.823], [0.823, 0.499, 0.315]],
  "space_group": "No. 146",
  "final_energy_ev_per_cell": -47.2
}

(2)
{
  "formula": "Ag3SeNO3",
  "functional": "GGA-PBE",
  "state": "relaxed",
  "lattice_angstrom": [[4.313, 2.490, 3.961], [-4.313, 2.490, 3.961], [0.000, -4.981, 3.961]],
  "species": ["Ag", "Ag", "Ag", "Ag", "Ag", "Ag", "Se", "Se", "N", "N", "O", "O", "O", "O", "O", "O"],
  "fractional_positions": [[0.067, 0.193, 0.740], [0.193, 0.740, 0.067], [0.240, 0.693, 0.567], [0.567, 0.240, 0.693], [0.693, 0.567, 0.240], [0.740, 0.067, 0.193], [0.215, 0.215, 0.215], [0.715, 0.715, 0.715], [0.066, 0.066, 0.066], [0.566, 0.566, 0.566], [0.062, 0.332, 0.413], [0.332, 0.413, 0.062], [0.413, 0.062, 0.332], [0.562, 0.913, 0.832], [0.832, 0.562, 0.913], [0.913, 0.832, 0.562]],
  "space_group": "No. 161",
  "final_energy_ev_per_cell": -70.7
}

(3)
{
  "formula": "Ga2S3",
  "functional": "GGA-PBE",
  "state": "relaxed",
  "lattice_angstrom": [[5.711, -3.269, 0.000], [5.711, 3.269, 0.000], [-3.677, 0.000, 6.099]],
  "species": ["Ga", "Ga", "Ga", "Ga", "S", "S", "S", "S", "S", "S"],
  "fractional_positions": [[0.065, 0.935, 0.500], [0.242, 0.439, 0.010], [0.439, 0.242, 0.510], [0.935, 0.065, 0.000], [0.051, 0.224, 0.384], [0.224, 0.051, 0.884], [0.381, 0.557, 0.394], [0.557, 0.381, 0.894], [0.709, 0.890, 0.365], [0.890, 0.709, 0.865]],
  "e_ij_max_c_m2": 0.36,
  "space_group": "No. 9",
  "final_energy_ev_per_cell": -43.6
}

(4)
{
  "formula": "DyPPt",
  "functional": "GGA-PBE",
  "state": "relaxed",
  "lattice_angstrom": [[4.136, 0.000, 0.000], [-2.068, 3.582, 0.000], [0.000, 0.000, 3.881]],
  "species": ["Dy", "P", "Pt"],
  "fractional_positions": [[0.000, 0.000, 0.000], [0.667, 0.333, 0.500], [0.333, 0.667, 0.500]],
  "space_group": "No. 187",
  "final_energy_ev_per_cell": -20.1
}

(5)
{
  "formula": "ZnGa11Co4",
  "functional": "GGA-PBE",
  "state": "relaxed",
  "lattice_angstrom": [[6.241, 0.000, 0.000], [0.000, 6.411, 0.000], [-0.041, 0.000, 6.305]],
  "species": ["Zn", "Ga", "Ga", "Ga", "Ga", "Ga", "Ga", "Ga", "Ga", "Ga", "Ga", "Ga", "Co", "Co", "Co", "Co"],
  "fractional_positions": [[0.000, 0.000, 0.000], [0.000, 0.500, 0.000], [0.151, 0.239, 0.342], [0.151, 0.761, 0.342], [0.345, 0.256, 0.848], [0.345, 0.744, 0.848], [0.500, 0.000, 0.500], [0.500, 0.500, 0.500], [0.655, 0.256, 0.152], [0.655, 0.744, 0.152], [0.849, 0.239, 0.658], [0.849, 0.761, 0.658], [0.157, 0.000, 0.648], [0.345, 0.500, 0.156], [0.655, 0.500, 0.844], [0.843, 0.000, 0.352]],
  "space_group": "No. 10",
  "final_energy_ev_per_cell": -67.3
}

(6)
{
  "formula": "BeB6H16",
  "functional": "GGA-PBE",
  "state": "relaxed",
  "lattice_angstrom": [[12.014, 0.000, 0.000], [0.000, 7.888, 0.000], [-8.011, 0.000, 12.274]],
  "species": ["Be", "Be", "Be", "Be", "B", "B", "B", "B", "B", "B", "B", "B", "B", "B", "B", "B", "B", "B", "B", "B", "B", "B", "B", "B", "B", "B", "B", "B", "H", "H", "H", "H", "H", "H", "H", "H", "H", "H", "H", "H", "H", "H", "H", "H", "H", "H", "H", "H", "H", "H", "H", "H", "H", "H", "H", "H", "H", "H", "H", "H", "H", "H", "H", "H", "H", "H", "H", "H", "H", "H", "H", "H", "H", "H", "H", "H", "H", "H", "H", "H", "H", "H", "H", "H", "H", "H", "H", "H", "H", "H", "H", "H"],
********
• Response:
  "final_energy_ev_per_cell": -47.2
}

(2)
{
  "formula": "Ag3SeNO3",
  "functional": "GGA-PBE",
  "state": "relaxed",
  "lattice_angstrom": [[4.313, 2.490, 3.961], [-4.313, 2.490, 3.961], [0.000, -4.981, 3.961]],
  "species": ["Ag", "Ag", "Ag", "Ag", "Ag", "Ag", "Se", "Se", "N", "N", "O", "O", "O", "O", "O", "O"],
  "fractional_positions": [[0.067, 0.193, 0.740], [0.193, 0.740, 0.067], [0.240, 0.693, 0.567], [0.567, 0.240, 0.693], [0.693, 0.567, 0.240], [0.740, 0.067, 0.193], [0.215, 0.215, 0.215], [0.715, 0.715, 0.715], [0.066, 0.066, 0.066], [0.566, 0.566, 0.566], [0.062, 0.332, 0.413], [0.332, 0.413, 0.062], [0.413, 0.062, 0.332], [0.562, 0.913, 0.832], [0.832, 0.562, 0.913], [0.913, 0.832, 0.562]],
  "space_group": "No. 161",
  "final_energy_ev_per_cell": -70.7
}

(3)
{
  "formula": "Ga2S3",
  "functional": "GGA-PBE",
  "state": "relaxed",
  "lattice_angstrom": [[5.711, -3.269, 0.000], [5.711, 3.269, 0.000], [-3.677, 0.000, 6.099]],
  "species": ["Ga", "Ga", "Ga", "Ga", "S", "S", "S", "S", "S", "S"],
  "fractional_positions": [[0.065, 0.935, 0.500], [0.242, 0.439, 0.010], [0.439, 0.242, 0.510], [0.935, 0.065, 0.000], [0.051, 0.224, 0.384], [0.224, 0.051, 0.884], [0.381, 0.557, 0.394], [0.557, 0.381, 0.894], [0.709, 0.890, 0.365], [0.890, 0.709, 0.865]],
  "e_ij_max_c_m2": 0.36,
  "space_group": "No. 9",
  "final_energy_ev_per_cell": -43.6
}

(4)
{
  "formula": "DyPPt",
  "functional": "GGA-PBE",
  "state": "relaxed",
  "lattice_angstrom": [[4.136, 0.000, 0.000], [-2.068, 3.582, 0.000], [0.000, 0.000, 3.881]],
  "species": ["Dy", "P", "Pt"],
  "fractional_positions": [[0.000, 0.000, 0.000], [0.667, 0.333, 0.500], [0.333, 0.667, 0.500]],
  "space_group": "No. 187",
  "final_energy_ev_per_cell": -20.1
}

(5)
{
  "formula": "ZnGa11Co4",
  "functional": "GGA-PBE",
  "state": "relaxed",
  "lattice_angstrom": [[6.241, 0.000, 0.000], [0.000, 6.411, 0.000], [-0.041, 0.000, 6.305]],
  "species": ["Zn", "Ga", "Ga", "Ga", "Ga", "Ga", "Ga", "Ga", "Ga", "Ga", "Ga", "Ga", "Co", "Co", "Co", "Co"],
  "fractional_positions": [[0.000, 0.000, 0.000], [0.000, 0.500, 0.000], [0.151, 0.239, 0.342], [0.151, 0.761, 0.342], [0.345, 0.256, 0.848], [0.345, 0.744, 0.848], [0.500, 0.000, 0.500], [0.500, 0.500, 0.500], [0.655, 0.256, 0.152], [0.655, 0.744, 0.152], [0.849, 0.239, 0.658], [0.849, 0.761, 0.658], [0.157, 0.000, 0.648], [0.345, 0.500, 0.156], [0.655, 0.500, 0.844], [0.843, 0.000, 0.352]],
  "space_group": "No. 10",
  "final_energy_ev_per_cell": -67.3
}

(6)
{
  "formula": "BeB6H16",
  "functional": "GGA-PBE",
  "state": "relaxed",
  "lattice_angstrom": [[12.014, 0.000, 0.000], [0.000, 7.888, 0.000], [-8.011, 0.000, 12.274]],
  "species": ["Be", "Be", "Be", "Be", "B", "B", "B", "B", "B", "B", "B", "B", "B", "B", "B", "B", "B", "B", "B", "B", "B", "B", "B", "B", "B", "B", "B", "B", "H", "H", "H", "H", "H", "H", "H", "H", "H", "H", "H", "H", "H", "H", "H", "H", "H", "H", "H", "H", "H", "H", "H", "H", "H", "H", "H", "H", "H", "H", "H", "H", "H", "H", "H", "H", "H", "H", "H", "H", "H", "H", "H", "H", "H", "H", "H", "H", "H", "H", "H", "H", "H", "H", "H", "H", "H", "H", "H", "H", "H", "H", "H", "H"],